-- Given --
........
No. 1
# Y2ScCo, relaxed, DFT GGA-PBE
# ΔH_f (0 K): 0.294 eV/atom
# energy above the lowest structure with this stoichiometry: 10.553 kcal/mol of atoms
# DOS at the Fermi energy: 1.424 states/eV/atom
data_Y2ScCo
_chemical_formula_sum 'Y8 Sc4 Co4'
_cell_length_a 7.1178
_cell_length_b 7.1178
_cell_length_c 7.1178
_cell_angle_alpha 90.00
_cell_angle_beta 90.00
_cell_angle_gamma 90.00
_symmetry_space_group_name_H-M 'F -4 3 m'
_symmetry_Int_Tables_number 216
_symmetry_space_group_name_Hall 'F -4 2 3'
loop_
_atom_site_label
_atom_site_fract_x
_atom_site_fract_y
_atom_site_fract_z
Y1 0.0000 0.0000 0.0000
Y2 0.2500 0.2500 0.2500
Sc1 0.0000 0.0000 0.5000
Co1 0.2500 0.2500 0.7500



No. 2
# Y2ScCo, relaxed, DFT GGA-PBE
# ΔH_f (0 K): -0.019 eV/atom
# energy above the lowest structure with this stoichiometry: 3.337 kcal/mol of atoms
# DOS at the Fermi energy: 0.997 states/eV/atom
data_Y2ScCo
_chemical_formula_sum 'Y2 Sc1 Co1'
_cell_length_a 3.4087
_cell_length_b 3.4087
_cell_length_c 8.3146
_cell_angle_alpha 90.00
_cell_angle_beta 90.00
_cell_angle_gamma 90.00
_symmetry_space_group_name_H-M 'P 4/m m m'
_symmetry_Int_Tables_number 123
_symmetry_space_group_name_Hall '-P 4 2'
loop_
_atom_site_label
_atom_site_fract_x
_atom_site_fract_y
_atom_site_fract_z
Y1 0.0000 0.0000 0.1966
Sc1 0.5000 0.5000 0.5000
Co1 0.5000 0.5000 0.0000



No. 3
# Y2ScCo, relaxed, DFT GGA-PBE
# ΔH_f (0 K): 0.025 eV/atom
# energy above the lowest structure with this stoichiometry: 4.370 kcal/mol of atoms
# DOS at the Fermi energy: 1.332 states/eV/atom
data_Y2ScCo
_chemical_formula_sum 'Y6 Sc3 Co3'
_cell_length_a 3.6325
_cell_length_b 3.6325
_cell_length_c 27.0604
_cell_angle_alpha 90.00
_cell_angle_beta 90.00
_cell_angle_gamma 120.00
_symmetry_space_group_name_H-M 'R 3 m'
_symmetry_Int_Tables_number 160
_symmetry_space_group_name_Hall 'R 3 -2"'
loop_
_atom_site_label
_atom_site_fract_x
_atom_site_fract_y
_atom_site_fract_z
Y1 0.0000 0.0000 0.0000
Y2 0.0000 0.0000 0.2163
Sc1 0.0000 0.0000 0.4449
Co1 0.0000 0.0000 0.7285



No. 4
# YSc3Co, relaxed, DFT GGA-PBE
# ΔH_f (0 K): 1.455 eV/atom
# energy above the lowest structure with this stoichiometry: 35.662 kcal/mol of atoms
# DOS at the Fermi energy: 1.503 states/eV/atom
data_YSc3Co
_chemical_formula_sum 'Y1 Sc3 Co1'
_cell_length_a 5.0945
_cell_length_b 5.0945
_cell_length_c 5.0945
_cell_angle_alpha 90.00
_cell_angle_beta 90.00
_cell_angle_gamma 90.00
_symmetry_space_group_name_H-M 'P m -3 m'
_symmetry_Int_Tables_number 221
_symmetry_space_group_name_Hall '-P 4 2 3'
loop_
_atom_site_label
_atom_site_fract_x
_atom_site_fract_y
_atom_site_fract_z
Y1 0.0000 0.0000 0.0000
Sc1 0.0000 0.0000 0.5000
Co1 0.5000 0.5000 0.5000



No. 5
# YScCo2, relaxed, DFT GGA-PBE
# ΔH_f (0 K): 0.187 eV/atom
# energy above the lowest structure with this stoichiometry: 9.131 kcal/mol of atoms
# DOS at the Fermi energy: 1.048 states/eV/atom
data_YScCo2
_chemical_formula_sum 'Y3 Sc3 Co6'
_cell_length_a 3.3740
_cell_length_b 3.3740
_cell_length_c 22.3716
_cell_angle_alpha 90.00
_cell_angle_beta 90.00
_cell_angle_gamma 120.00
_symmetry_space_group_name_H-M 'R -3 m'
_symmetry_Int_Tables_number 166
_symmetry_space_group_name_Hall '-R 3 2"'
loop_
_atom_site_label
_atom_site_fract_x
_atom_site_fract_y
_atom_site_fract_z
Y1 0.0000 0.0000 0.0000
Sc1 0.0000 0.0000 0.5000
Co1 0.0000 0.0000 0.2454



No. 6
# YSc2Co2, relaxed, DFT GGA-PBE
# ΔH_f (0 K): 0.043 eV/atom
# energy above the lowest structure with this stoichiometry: 2.438 kcal/mol of atoms
# DOS at the Fermi energy: 1.102 states/eV/atom
data_YSc2Co2
_chemical_formula_sum 'Y2 Sc4 Co4'
_cell_length_a 4.5769
_cell_length_b 4.5769
_cell_length_c 9.6171
_cell_angle_alpha 90.00
_cell_angle_beta 90.00
_cell_angle_gamma 90.00
_symmetry_space_group_name_H-M 'I 4/m m m'
_symmetry_Int_Tables_number 139
_symmetry_space_group_name_Hall '-I 4 2'
loop_
_atom_site_label
_atom_site_fract_x
_atom_site_fract_y
_atom_site_fract_z
Y1 0.0000 0.0000 0.0000
Sc1 0.0000 0.0000 0.3405
Co1 0.0000 0.5000 0.2500
........

-- Exercise --
Retype everything further up without additions.

-- Worked solution --
No. 1
# Y2ScCo, relaxed, DFT GGA-PBE
# ΔH_f (0 K): 0.294 eV/atom
# energy above the lowest structure with this stoichiometry: 10.553 kcal/mol of atoms
# DOS at the Fermi energy: 1.424 states/eV/atom
data_Y2ScCo
_chemical_formula_sum 'Y8 Sc4 Co4'
_cell_length_a 7.1178
_cell_length_b 7.1178
_cell_length_c 7.1178
_cell_angle_alpha 90.00
_cell_angle_beta 90.00
_cell_angle_gamma 90.00
_symmetry_space_group_name_H-M 'F -4 3 m'
_symmetry_Int_Tables_number 216
_symmetry_space_group_name_Hall 'F -4 2 3'
loop_
_atom_site_label
_atom_site_fract_x
_atom_site_fract_y
_atom_site_fract_z
Y1 0.0000 0.0000 0.0000
Y2 0.2500 0.2500 0.2500
Sc1 0.0000 0.0000 0.5000
Co1 0.2500 0.2500 0.7500



No. 2
# Y2ScCo, relaxed, DFT GGA-PBE
# ΔH_f (0 K): -0.019 eV/atom
# energy above the lowest structure with this stoichiometry: 3.337 kcal/mol of atoms
# DOS at the Fermi energy: 0.997 states/eV/atom
data_Y2ScCo
_chemical_formula_sum 'Y2 Sc1 Co1'
_cell_length_a 3.4087
_cell_length_b 3.4087
_cell_length_c 8.3146
_cell_angle_alpha 90.00
_cell_angle_beta 90.00
_cell_angle_gamma 90.00
_symmetry_space_group_name_H-M 'P 4/m m m'
_symmetry_Int_Tables_number 123
_symmetry_space_group_name_Hall '-P 4 2'
loop_
_atom_site_label
_atom_site_fract_x
_atom_site_fract_y
_atom_site_fract_z
Y1 0.0000 0.0000 0.1966
Sc1 0.5000 0.5000 0.5000
Co1 0.5000 0.5000 0.0000



No. 3
# Y2ScCo, relaxed, DFT GGA-PBE
# ΔH_f (0 K): 0.025 eV/atom
# energy above the lowest structure with this stoichiometry: 4.370 kcal/mol of atoms
# DOS at the Fermi energy: 1.332 states/eV/atom
data_Y2ScCo
_chemical_formula_sum 'Y6 Sc3 Co3'
_cell_length_a 3.6325
_cell_length_b 3.6325
_cell_length_c 27.0604
_cell_angle_alpha 90.00
_cell_angle_beta 90.00
_cell_angle_gamma 120.00
_symmetry_space_group_name_H-M 'R 3 m'
_symmetry_Int_Tables_number 160
_symmetry_space_group_name_Hall 'R 3 -2"'
loop_
_atom_site_label
_atom_site_fract_x
_atom_site_fract_y
_atom_site_fract_z
Y1 0.0000 0.0000 0.0000
Y2 0.0000 0.0000 0.2163
Sc1 0.0000 0.0000 0.4449
Co1 0.0000 0.0000 0.7285



No. 4
# YSc3Co, relaxed, DFT GGA-PBE
# ΔH_f (0 K): 1.455 eV/atom
# energy above the lowest structure with this stoichiometry: 35.662 kcal/mol of atoms
# DOS at the Fermi energy: 1.503 states/eV/atom
data_YSc3Co
_chemical_formula_sum 'Y1 Sc3 Co1'
_cell_length_a 5.0945
_cell_length_b 5.0945
_cell_length_c 5.0945
_cell_angle_alpha 90.00
_cell_angle_beta 90.00
_cell_angle_gamma 90.00
_symmetry_space_group_name_H-M 'P m -3 m'
_symmetry_Int_Tables_number 221
_symmetry_space_group_name_Hall '-P 4 2 3'
loop_
_atom_site_label
_atom_site_fract_x
_atom_site_fract_y
_atom_site_fract_z
Y1 0.0000 0.0000 0.0000
Sc1 0.0000 0.0000 0.5000
Co1 0.5000 0.5000 0.5000



No. 5
# YScCo2, relaxed, DFT GGA-PBE
# ΔH_f (0 K): 0.187 eV/atom
# energy above the lowest structure with this stoichiometry: 9.131 kcal/mol of atoms
# DOS at the Fermi energy: 1.048 states/eV/atom
data_YScCo2
_chemical_formula_sum 'Y3 Sc3 Co6'
_cell_length_a 3.3740
_cell_length_b 3.3740
_cell_length_c 22.3716
_cell_angle_alpha 90.00
_cell_angle_beta 90.00
_cell_angle_gamma 120.00
_symmetry_space_group_name_H-M 'R -3 m'
_symmetry_Int_Tables_number 166
_symmetry_space_group_name_Hall '-R 3 2"'
loop_
_atom_site_label
_atom_site_fract_x
_atom_site_fract_y
_atom_site_fract_z
Y1 0.0000 0.0000 0.0000
Sc1 0.0000 0.0000 0.5000
Co1 0.0000 0.0000 0.2454



No. 6
# YSc2Co2, relaxed, DFT GGA-PBE
# ΔH_f (0 K): 0.043 eV/atom
# energy above the lowest structure with this stoichiometry: 2.438 kcal/mol of atoms
# DOS at the Fermi energy: 1.102 states/eV/atom
data_YSc2Co2
_chemical_formula_sum 'Y2 Sc4 Co4'
_cell_length_a 4.5769
_cell_length_b 4.5769
_cell_length_c 9.6171
_cell_angle_alpha 90.00
_cell_angle_beta 90.00
_cell_angle_gamma 90.00
_symmetry_space_group_name_H-M 'I 4/m m m'
_symmetry_Int_Tables_number 139
_symmetry_space_group_name_Hall '-I 4 2'
loop_
_atom_site_label
_atom_site_fract_x
_atom_site_fract_y
_atom_site_fract_z
Y1 0.0000 0.0000 0.0000
Sc1 0.0000 0.0000 0.3405
Co1 0.0000 0.5000 0.2500